**Given:**
........
Molecular formula: C25H39F4Si4
Method: DFT, wB97M-V/def2-TZVPD

Structure (XYZ):
```
72
Properties=species:S:1:pos:R:3:forces:R:3:mulliken_charge:R:1
C 2.364 1.393 4.547 -0.0214 -0.0654 0.0552 -0.971
Si 1.807 1.654 2.760 -0.2147 -0.0011 -0.3685 0.472
C 0.636 3.131 2.707 0.0985 0.2440 0.0396 -1.081
C 3.331 2.015 1.707 0.0660 0.1722 0.0028 -1.058
Si 0.645 -0.241 1.844 0.0199 0.1416 0.6137 -0.311
Si -1.176 -0.678 3.288 0.3013 0.1242 -0.3135 0.292
C -0.590 -0.890 5.068 -0.1294 -0.0316 0.0629 -0.984
C -2.343 0.790 3.130 -0.3189 -0.0185 0.1755 -0.748
C -2.038 -2.232 2.677 -0.2733 -0.1432 0.1746 -0.752
C -0.025 0.036 0.019 -0.0209 -0.0930 -0.1379 0.655
C 0.318 1.327 -0.685 0.4150 -0.0455 -0.4452 -0.861
C -0.605 -0.946 -0.739 0.0919 -0.2867 0.3212 -1.274
Si 2.228 -2.034 2.103 -0.2099 0.0969 -0.3177 0.462
C 2.797 -2.247 3.893 -0.0727 0.0545 0.0502 -0.966
C 1.377 -3.606 1.517 0.1327 -0.2045 -0.0607 -1.015
C 3.724 -1.666 1.018 0.0548 -0.1213 -0.1178 -1.070
H 2.862 2.313 4.895 -0.1348 -0.1994 -0.1518 0.415
H 1.525 1.200 5.230 0.2700 0.0611 -0.2052 0.245
H 3.087 0.573 4.653 -0.2261 0.2735 -0.0292 0.246
H 1.183 4.035 3.016 -0.1868 -0.1709 -0.0676 0.422
H 0.242 3.314 1.696 0.0871 -0.0342 0.2948 0.253
H -0.215 3.005 3.391 0.2496 0.0423 -0.1874 0.301
H 3.788 2.960 2.041 -0.0821 -0.2320 -0.0971 0.417
H 4.093 1.228 1.796 -0.2313 0.2321 -0.0249 0.285
H 3.077 2.130 0.643 0.1096 -0.0358 0.2758 0.269
H -1.467 -1.119 5.693 0.2011 0.0456 -0.1050 0.414
H 0.123 -1.719 5.185 -0.2502 0.2677 -0.0592 0.230
H -0.127 0.021 5.472 -0.1758 -0.2911 -0.1565 0.245
H -3.272 0.574 3.680 0.1683 0.1420 -0.1029 0.459
H -1.911 1.716 3.536 -0.1363 -0.2898 -0.1015 0.302
H -2.616 0.972 2.081 0.1170 -0.0419 0.1927 -0.083
H -2.909 -2.432 3.320 0.1567 -0.0483 -0.1970 0.463
H -2.407 -2.110 1.648 0.0850 -0.0223 0.2219 0.020
H -1.382 -3.114 2.710 -0.2081 0.2677 -0.0167 0.209
H -0.076 1.343 -1.714 0.1822 -0.0846 0.1944 0.263
H -0.112 2.216 -0.193 0.1937 -0.4601 0.1186 0.071
H 1.411 1.466 -0.740 -0.3468 0.1047 0.1143 0.210
H -0.259 -1.023 -1.791 -0.5601 0.1077 0.4456 0.634
H -1.198 -1.776 -0.319 0.9336 0.0889 -0.1563 0.430
H 3.474 -3.114 3.944 -0.1773 0.2005 -0.0843 0.406
H 3.355 -1.377 4.266 -0.1816 -0.3039 -0.1348 0.248
H 1.962 -2.442 4.582 0.2826 0.0602 -0.2080 0.240
H 2.107 -4.430 1.498 -0.2172 0.1309 -0.0155 0.430
H 0.552 -3.901 2.180 0.2413 0.0801 -0.1847 0.281
H 0.981 -3.484 0.498 0.0752 -0.0443 0.2578 0.230
H 4.361 -2.562 0.952 -0.1140 0.2280 0.0126 0.403
H 3.411 -1.404 -0.004 0.1227 -0.0446 0.2600 0.284
H 4.338 -0.845 1.414 -0.1960 -0.2578 -0.1179 0.295
F -3.317 -5.451 -3.123 0.8082 1.6047 -0.5231 -0.293
C -2.738 -4.289 -3.598 -0.6674 -0.9055 0.2445 0.113
C -2.052 -4.362 -4.812 -0.0575 0.6708 0.2395 -0.605
C -1.526 -3.157 -5.287 0.1697 -0.0488 -1.0873 0.296
F -0.892 -3.161 -6.511 -0.7825 0.0288 1.6494 -0.289
C -1.655 -1.956 -4.606 0.0320 0.3175 0.6158 -0.772
C -2.334 -1.900 -3.348 0.6486 -1.6990 -0.4212 1.131
C -2.286 -0.665 -2.612 -0.3563 0.5501 -0.7880 -0.906
C -3.293 -0.104 -1.768 -1.0109 0.7209 1.5968 1.288
C -3.351 1.318 -1.666 0.4714 -0.3640 -0.1861 -0.885
C -4.132 1.923 -0.697 -0.3702 1.1335 -0.0555 0.424
F -4.149 3.302 -0.626 0.0009 -1.8111 -0.1347 -0.320
C -4.916 1.204 0.208 0.6465 -0.2856 -0.5672 -0.751
C -4.839 -0.188 0.104 -0.5778 -0.5502 0.7521 0.463
F -5.484 -0.932 1.069 0.6079 0.8590 -1.3891 -0.365
C -4.141 -0.852 -0.892 0.3781 0.0847 -0.2958 -0.551
C -2.908 -3.115 -2.871 0.1747 0.2325 -0.1856 -0.610
H -1.971 -5.287 -5.379 0.0197 0.2192 0.2019 0.500
H -1.268 -1.028 -5.030 0.0978 -0.3988 0.0070 0.489
H -1.562 0.060 -2.999 -0.5569 -0.1390 -0.1134 0.465
H -2.779 1.918 -2.379 -0.1274 -0.0338 0.4681 0.540
H -5.552 1.696 0.932 0.1475 -0.0519 0.0773 0.488
H -4.224 -1.935 -0.975 0.0419 0.5475 0.4330 0.263
H -3.468 -3.150 -1.944 0.2919 -0.2764 -0.2579 0.562
```
Forces are in eV/Å.

total charge = +1
HOMO = -0.394 hartree
strongest force on any atom = 2.02 eV/Å
lowest unoccupied orbital energy = -0.225 Eh
electronic energy = -2533.1789 Ha
orbital gap = 4.616 eV
........

**What to do:**
Could you repeat the block above from the first line to the one with "1.414 -0.1960" verbatim?

**Solution:**
Molecular formula: C25H39F4Si4
Method: DFT, wB97M-V/def2-TZVPD

Structure (XYZ):
```
72
Properties=species:S:1:pos:R:3:forces:R:3:mulliken_charge:R:1
C 2.364 1.393 4.547 -0.0214 -0.0654 0.0552 -0.971
Si 1.807 1.654 2.760 -0.2147 -0.0011 -0.3685 0.472
C 0.636 3.131 2.707 0.0985 0.2440 0.0396 -1.081
C 3.331 2.015 1.707 0.0660 0.1722 0.0028 -1.058
Si 0.645 -0.241 1.844 0.0199 0.1416 0.6137 -0.311
Si -1.176 -0.678 3.288 0.3013 0.1242 -0.3135 0.292
C -0.590 -0.890 5.068 -0.1294 -0.0316 0.0629 -0.984
C -2.343 0.790 3.130 -0.3189 -0.0185 0.1755 -0.748
C -2.038 -2.232 2.677 -0.2733 -0.1432 0.1746 -0.752
C -0.025 0.036 0.019 -0.0209 -0.0930 -0.1379 0.655
C 0.318 1.327 -0.685 0.4150 -0.0455 -0.4452 -0.861
C -0.605 -0.946 -0.739 0.0919 -0.2867 0.3212 -1.274
Si 2.228 -2.034 2.103 -0.2099 0.0969 -0.3177 0.462
C 2.797 -2.247 3.893 -0.0727 0.0545 0.0502 -0.966
C 1.377 -3.606 1.517 0.1327 -0.2045 -0.0607 -1.015
C 3.724 -1.666 1.018 0.0548 -0.1213 -0.1178 -1.070
H 2.862 2.313 4.895 -0.1348 -0.1994 -0.1518 0.415
H 1.525 1.200 5.230 0.2700 0.0611 -0.2052 0.245
H 3.087 0.573 4.653 -0.2261 0.2735 -0.0292 0.246
H 1.183 4.035 3.016 -0.1868 -0.1709 -0.0676 0.422
H 0.242 3.314 1.696 0.0871 -0.0342 0.2948 0.253
H -0.215 3.005 3.391 0.2496 0.0423 -0.1874 0.301
H 3.788 2.960 2.041 -0.0821 -0.2320 -0.0971 0.417
H 4.093 1.228 1.796 -0.2313 0.2321 -0.0249 0.285
H 3.077 2.130 0.643 0.1096 -0.0358 0.2758 0.269
H -1.467 -1.119 5.693 0.2011 0.0456 -0.1050 0.414
H 0.123 -1.719 5.185 -0.2502 0.2677 -0.0592 0.230
H -0.127 0.021 5.472 -0.1758 -0.2911 -0.1565 0.245
H -3.272 0.574 3.680 0.1683 0.1420 -0.1029 0.459
H -1.911 1.716 3.536 -0.1363 -0.2898 -0.1015 0.302
H -2.616 0.972 2.081 0.1170 -0.0419 0.1927 -0.083
H -2.909 -2.432 3.320 0.1567 -0.0483 -0.1970 0.463
H -2.407 -2.110 1.648 0.0850 -0.0223 0.2219 0.020
H -1.382 -3.114 2.710 -0.2081 0.2677 -0.0167 0.209
H -0.076 1.343 -1.714 0.1822 -0.0846 0.1944 0.263
H -0.112 2.216 -0.193 0.1937 -0.4601 0.1186 0.071
H 1.411 1.466 -0.740 -0.3468 0.1047 0.1143 0.210
H -0.259 -1.023 -1.791 -0.5601 0.1077 0.4456 0.634
H -1.198 -1.776 -0.319 0.9336 0.0889 -0.1563 0.430
H 3.474 -3.114 3.944 -0.1773 0.2005 -0.0843 0.406
H 3.355 -1.377 4.266 -0.1816 -0.3039 -0.1348 0.248
H 1.962 -2.442 4.582 0.2826 0.0602 -0.2080 0.240
H 2.107 -4.430 1.498 -0.2172 0.1309 -0.0155 0.430
H 0.552 -3.901 2.180 0.2413 0.0801 -0.1847 0.281
H 0.981 -3.484 0.498 0.0752 -0.0443 0.2578 0.230
H 4.361 -2.562 0.952 -0.1140 0.2280 0.0126 0.403
H 3.411 -1.404 -0.004 0.1227 -0.0446 0.2600 0.284
H 4.338 -0.845 1.414 -0.1960 -0.2578 -0.1179 0.295